Last updated: February 24th, 2024 @ 9:15 AM

Zero Tolerance Policy


To help foster sportsmanship and proper conduct Claremore Soccer Club (CSC) has adopted the following Zero Tolerance Policy:

_Molecular data, as found in the file_
********
(1)
# C21H36N2O5

C21H36N2O5 as an isolated structure (wB97M-V/def2-TZVPD, the Open Molecules 2025 dataset).

XYZ file:
```
64
Properties=species:S:1:pos:R:3:forces:R:3
C -0.115385 1.730089 -1.719184 0.034 0.002 0.000
C -1.143089 0.765085 -1.149601 -0.005 -0.027 0.010
O -2.127921 0.604009 -2.139064 -0.014 -0.015 -0.015
C -2.976544 -0.554170 -2.092189 0.009 0.003 -0.003
C -3.781656 -0.607344 -0.798139 -0.002 0.013 -0.003
C -2.160283 -1.832373 -2.276089 0.002 0.001 -0.004
C -3.907730 -0.354836 -3.277732 -0.006 0.012 -0.010
C -1.700734 1.402825 0.128627 -0.185 -0.040 -0.082
O -2.492929 2.321182 0.079421 0.028 0.010 0.002
N -1.168552 0.971647 1.317862 0.118 -0.013 0.134
C -0.770078 -0.415984 1.655111 -0.050 -0.049 -0.002
C -1.266385 -0.437427 3.108654 -0.007 0.083 -0.166
C -2.655127 0.242530 2.959764 0.007 0.034 0.012
C -1.772802 1.456626 2.578997 -0.001 -0.004 -0.030
C -0.783739 0.938429 3.646411 0.014 -0.150 0.223
C 0.682828 1.309339 3.793714 -0.054 0.243 -0.055
N 1.351957 1.727042 2.574935 0.050 -0.132 -0.039
C 2.656821 2.072513 2.619067 -0.012 -0.044 0.018
O 3.287325 2.159766 3.658245 0.018 0.015 0.013
C 3.306926 2.344339 1.265458 -0.012 0.021 -0.027
O 2.802119 1.516859 0.238736 0.014 -0.003 0.038
C 3.233205 0.170833 0.390854 -0.037 -0.027 -0.004
C 2.530559 -0.689446 -0.636182 0.022 0.003 -0.001
C 2.941694 -0.356549 -2.068608 -0.020 -0.018 0.018
C 2.223378 -1.280774 -3.038191 0.011 0.002 -0.016
O 2.487033 -2.645657 -2.753891 -0.015 0.024 0.021
C 2.055253 -2.998089 -1.453532 0.010 -0.011 -0.001
C 2.757682 -2.177853 -0.380998 -0.001 0.022 -0.009
H 0.703620 1.901328 -1.019574 0.009 -0.006 0.007
H 0.287744 1.322232 -2.645677 0.013 -0.005 -0.010
H -0.610856 2.675801 -1.936354 0.001 0.001 -0.007
H -0.667531 -0.193038 -0.915230 0.023 0.011 0.013
H -4.289207 0.341709 -0.627558 -0.004 0.001 0.003
H -4.523781 -1.405313 -0.854831 0.006 -0.001 -0.003
H -3.143293 -0.819834 0.061666 -0.005 0.001 -0.008
H -1.530084 -1.754709 -3.163614 -0.003 0.002 0.003
H -1.524828 -2.045505 -1.413746 0.005 -0.001 0.002
H -2.829226 -2.684990 -2.401867 0.000 0.003 0.001
H -3.330551 -0.293609 -4.200677 -0.001 -0.001 0.004
H -4.611846 -1.183602 -3.356694 -0.004 -0.007 -0.001
H -4.465454 0.573890 -3.157977 0.001 -0.002 0.000
H -1.282580 -1.156648 1.038079 0.031 0.019 -0.003
H 0.308069 -0.570060 1.571136 0.029 0.018 -0.009
H -1.113822 -1.360273 3.661295 -0.001 -0.016 0.006
H -3.333361 -0.126783 2.192053 0.002 -0.001 0.001
H -3.166380 0.361457 3.912693 0.005 0.009 -0.022
H -2.129364 2.475909 2.506443 0.001 -0.003 0.022
H -1.244467 1.085745 4.624557 0.013 0.001 -0.013
H 0.772084 2.119920 4.519964 0.006 -0.009 0.003
H 1.219286 0.459772 4.231186 0.003 0.001 -0.005
H 0.879410 1.663712 1.686038 -0.010 -0.002 0.006
H 3.111456 3.377741 0.975436 -0.009 -0.004 -0.010
H 4.384842 2.216530 1.394622 0.005 0.004 0.010
H 4.322897 0.115051 0.264575 0.008 0.007 0.002
H 2.998527 -0.186255 1.403672 0.000 0.002 -0.010
H 1.456042 -0.491281 -0.537595 -0.028 0.006 -0.004
********
_The page goes on_

This policy applies to all coaches, players, parents, spectators and other supporters and referees effective immediately.

Abusive and obscene language, violent play/conduct, fighting and other behavior (including, but not limited to sarcasm, taunting, etc.) deemed detrimental to the game between the above mentioned groups will not be tolerated. It is the responsibility of the coaches to provide referee support and spectator control, and it is the responsibility of all spectators and parents to act appropriately and be positive role models to players. This policy applies before, during and after the game at the soccer field and its immediate surrounding areas.

Parents & Spectators

No parent or spectator shall persistently address the referee or assistant referees at any time. This includes, but is not limited to:

  • Parents and spectators shall not dispute calls during or after the game.
  • Parents and spectators shall not make remarks to the referee(s) or advise the referee(s) to watch certain players or attend to rough play.
  • Parents and spectators shall never yell at the referee(s), including criticism, sarcasm, harassment, intimidation or feedback of any kind before, during or after the game.

The only allowable exceptions to the above are:

  • Parents and spectators may respond to a referee who has initiated a conversation, until such time as the referee terminates the conversation.
  • Parents and spectators may point out an emergency or safety issues, such as a player apparently injured on the field or observed fighting.

Additionally, parents and spectators shall not make derogatory comments to players of either team.

Someone pasted records of molecules at this point >
'''
[1]
A 17-piece molecular cluster, C23H80N10O17 overall at a distorted geometry, computed with ωB97M-V with the def2-TZVPD basis set.

Positions of all 130 atoms, in Å:
C: -0.6673 -3.9908 2.0712
H: 2.6297 -0.2398 -4.3358
O: -3.8323 2.3482 -1.7538
O: -0.9923 5.8332 -1.1938
H: 1.0357 -1.1088 -0.9928
H: -0.1953 2.0332 0.4172
H: -1.7063 4.1392 0.3262
H: 4.3907 2.7092 -1.3648
H: 1.4067 1.4222 3.6892
H: -0.3483 -0.0308 -5.1448
C: -0.1893 -0.1918 0.1562
H: -4.9193 -0.4428 2.0702
H: 0.7687 -3.8608 -1.8468
H: -5.3843 -3.2138 0.2782
H: -4.1773 -1.4848 3.2872
H: -1.7613 -3.3528 -3.7528
H: -0.4233 5.5942 -0.4238
C: -2.4403 -0.9708 4.3562
O: 0.5717 -3.6618 1.4692
H: 4.2817 -0.7928 0.7882
C: -1.2993 3.6062 5.0492
H: -2.0593 -0.6528 -3.2398
H: -1.6823 2.1122 3.5002
C: 0.1467 0.4412 -4.2818
H: 4.6397 -3.7378 -0.1128
H: 2.2667 3.8882 -1.0028
H: -1.9693 -1.0868 2.3782
H: -1.8413 5.3802 1.4042
H: 3.2817 0.4892 -2.2328
H: 5.0037 -1.5008 2.8482
N: 4.0937 -1.8028 3.0122
O: 1.6477 -2.1508 -2.3668
H: 2.3567 -1.5188 -2.3788
N: -4.9793 -1.4128 1.7232
H: -3.2113 1.8302 0.1722
N: -3.6733 -1.3508 4.1792
O: -1.9793 -0.9198 5.6552
N: 0.1317 -4.3488 -1.2098
H: 0.2527 -0.2468 -3.4578
H: -1.7553 3.7672 -2.7768
O: -2.0923 -4.6038 -0.6648
N: 3.5967 -0.5228 -4.4898
N: 3.8847 -0.2888 -2.3428
H: -3.0823 0.5882 -0.9408
H: -2.0673 3.6732 1.8422
H: 2.5937 -0.2868 0.6662
H: -4.3343 -1.7658 -3.5738
C: 4.3707 -0.8128 -3.4738
N: 3.3517 -0.6978 1.2112
H: -0.7773 -4.0758 3.1452
H: 4.0427 2.9162 0.3992
H: 3.8277 -0.7098 -5.4288
H: 3.8207 1.3632 -0.4018
O: -3.3773 2.5752 4.6322
C: -0.3023 5.3862 -2.2948
H: -3.6353 1.9582 5.3192
H: -0.9473 -0.1318 -0.5998
C: 3.5807 -3.9458 -0.3578
H: 0.7797 -3.2768 -3.9218
H: -0.9333 -4.9628 1.6292
H: -0.1763 3.6072 -3.4908
C: 3.7377 2.4452 -0.5668
O: 0.6277 5.2682 0.8042
H: 0.7487 5.4692 -2.1368
H: -0.4413 1.2292 -3.8388
O: 3.1767 -5.0928 0.3132
O: 1.8797 2.0302 -1.9128
H: -0.4043 -5.0288 -3.3778
H: -5.9653 -1.7718 1.6432
C: -1.9973 2.3742 4.5052
H: -4.2833 -1.3748 4.9772
H: 2.1647 -2.5458 -4.3968
O: 1.3437 0.9172 -4.6938
H: -1.0073 1.1482 1.7202
C: -3.0603 1.6382 -0.8368
H: 2.9727 -3.0448 -0.1718
H: -1.6093 1.5682 5.1192
C: 3.0547 -1.3648 2.3102
O: -1.8883 -2.4738 -4.1058
H: 1.3327 1.3022 -1.5668
C: -3.7593 -1.9318 -2.6788
O: 1.0357 -0.2728 -0.5468
O: 3.0157 1.7832 2.4992
H: -3.6813 1.9222 -2.5748
H: 0.8037 1.1772 1.4292
N: -4.4013 -3.0018 0.4472
H: 1.4417 5.5152 1.2812
N: -1.2113 -4.8808 -2.8028
C: -2.2683 -1.6998 -2.9978
H: -4.0693 -1.1628 -1.9048
N: -1.6793 -0.8388 3.3422
H: 4.4087 -0.6068 -1.4818
C: 2.3447 2.8302 -0.8218
H: -1.7453 4.5022 4.6602
H: -2.1023 -5.1498 -3.2998
H: -1.3003 3.6762 6.1192
H: -3.8603 -2.9278 -2.2388
H: -0.6453 -0.8388 3.5282
O: 1.7527 -1.5378 2.5942
H: 2.6247 2.7002 4.2802
C: 2.4767 1.7462 3.7482
C: -0.0273 4.4442 1.6912
H: -1.4013 -3.1858 1.8402
H: 2.2847 -3.8908 -3.1898
H: -1.6873 -2.0528 -2.1378
H: -3.6993 -3.4358 -0.2248
H: -0.3793 6.0482 -3.2098
H: -0.4253 3.2492 -1.8458
C: -0.2153 1.0642 0.9972
H: 3.2837 -4.9198 1.2242
'''

Penalties (Parents & Spectators)

In the opinion of the referee, depending on the severity of the offense, the referee may take any of the following actions:

  • The referee may issue a verbal warning to the coach of the offending party’s team.
  • The referee may stop the game and instruct the coaches to direct the parent/spectator to leave the field.
  • The referee may abandon the game if the parent/spectator does not leave the field.
  • CSC Board members will strictly enforce this policy as well and will give the offending parent a verbal warning to cease the offending conduct and/or then immediately eject the offending parent, or spectator. CSC Board members will immediately eject the offending parent/spectator if warranted. Failure of a parent or spectator to leave immediately upon being asked to do so will result in the Claremore Police being contacted for assistance and appropriate action.

# Misplaced molecular data
********
{"formula": "C4H12", "method": "ωB97M-V with the def2-TZVPD basis set", "symbols": ["C", "C", "H", "H", "H", "H", "H", "H", "C", "C", "H", "H", "H", "H", "H", "H"], "positions_angstrom": [[0.769, 2.223, -0.327], [-0.662, 2.044, -0.910], [1.571, 2.424, -1.092], [1.054, 1.199, -0.024], [0.884, 2.960, 0.438], [-1.108, 3.015, -1.415], [-1.411, 2.046, 0.037], [-0.859, 1.113, -1.438], [-0.184, -2.751, 0.902], [0.213, -1.498, 0.286], [0.461, -3.023, 1.715], [-0.126, -3.696, 0.330], [-1.208, -2.836, 1.264], [0.193, -0.615, 0.894], [1.135, -1.372, -0.244], [-0.723, -1.232, -0.415]], "nbo_charge": [-0.62, -0.62, 0.20, 0.20, 0.21, 0.21, 0.20, 0.22, -0.62, -0.61, 0.20, 0.21, 0.21, 0.21, 0.21, 0.19], "lumo_ev": 1.092, "smiles": "CC.CC", "total_charge": 0}

***

{"formula": "C6H7N4S", "method": "ωB97M-V with the def2-TZVPD basis set", "symbols": ["C", "C", "C", "C", "C", "C", "N", "N", "N", "N", "S", "H", "H", "H", "H", "H", "H", "H"], "positions_angstrom": [[1.589, -3.860, -1.395], [2.638, -3.168, -2.113], [-2.927, 2.397, 1.056], [-1.913, 1.667, 0.520], [-1.044, 3.039, 1.976], [1.665, -1.869, -0.483], [0.981, -3.063, -0.520], [-2.389, 3.312, 1.956], [2.653, -1.942, -1.489], [-0.679, 2.169, 1.050], [1.371, -0.500, 0.390], [1.211, -4.847, -1.695], [3.122, -3.539, -2.896], [-3.983, 2.379, 0.935], [-1.999, 1.200, -0.488], [-0.463, 3.646, 2.610], [-2.908, 4.036, 2.350], [3.075, -1.056, -1.764]], "nbo_charge": [0.02, 0.20, -0.07, -0.14, 0.18, 0.04, -0.30, -0.52, -0.47, -0.49, 0.52, 0.26, 0.25, 0.22, 0.22, 0.20, 0.42, 0.47], "lumo_ev": -7.878, "total_charge": 1}

***
********


The conduct of the players is governed by the Laws of the Game as stated by FIFA and USSF.

The Laws themselves describe penalties associated with violating the Laws of the Game.

Additional penalties for players who engage in misconduct may be established by the club and/or league but may in no case be less severe than penalties established by FIFA, USSF, or CSC.

Coaches, Assistant Coaches & Bench Personnel

It is the responsibility of all coaches to maintain the highest standards of conduct for themselves, their players and supporters in all matches. Failure to do so undermines the referee’s authority and the integrity of the game resulting in a hostile environment for players, the referee(s), coaches, assistant coaches, bench personnel and spectators. As role models for all of the participants and spectators, coaches participating in CSC sanctioned event are expected to be supportive of, and to acknowledge the effort, good play and sportsmanship on the part of ALL players from either team in a contest. By example, coaches, assistant coaches and bench personnel are expected to show that although they are competing in a game, they have respect for their opponent, referees and spectators at all times. CSC will not tolerate negative behavior exhibited either by demonstrative actions and gestures, or by ill-intentioned remarks, including those addressed toward the referees or members of an opposing team.

Coaches exhibiting hostile, negative, sarcastic or otherwise ill-intended behavior toward referees, opposing players or coaches will be subject to sanction by the match official.

Additional sanctions may be imposed by the club that the coach or assistant coach represents, the league that the match is being played under, or as allowed by CSC policies.

  • Coaches shall not interact directly or indirectly with the coaches or players of the opposing team during the game in any manner that may be construed as negative, hostile or sarcastic either by way of demonstrative actions and gestures or by ill-intentioned remarks.
  • Coaches shall only offer polite and appropriate comments to any call made by the referee(s) at any time.
  • Coaches shall not address the Referee(s) during the game except to:
    • Respond to a referee who has initiated a conversation.
    • Point out emergency or safety issues.
    • Make substitutions.
    • Ask the referee, “What is the proper restart (i.e. direction and Indirect Free Kick or Direct Free Kick)?
    • Ask for the time remaining in the half.
    • Coaches are allowed to ask a referee after in a polite and constructive way, to explain a law or foul, but not judgment calls made in the game, even if doing so will not disrupt the game. The exchange shall be Polite and civil with the referee. If the polite tone of the conversation changes, the referee may abandon the
      exchange at any time. Absolutely no sarcasm, harassment or intimidation is allowed.

NOTE: Coaches or other team members can not engage in any critical or hostile conversation with the match official once the match has concluded or at half-time.

Penalties (Coaches, Assistant Coaches & Bench Personnel)

In the opinion of the referee, depending on the severity of the offense, the referee may take any of the following actions:

  • The referee may issue a verbal warning to the offending coach, assistant coach or bench personnel.
  • The referee may eject the offending coach, assistant coach or bench personnel. Once ejected, the individual will be required to leave the field immediately.
  • The referee should abandon the game, if the coach, assistant coach or bench personnel do not leave the field or any immediate adjoining area after having been instructed to do so.

Additional penalties associated with the ejection of a coach, assistant coach or bench personnel may be assessed by the local club or league which sanctioned the match in accordance with their documented policy. These penalties may be no less stringent than sanctions as may be imposed by CSC following their review, if conducted, of the incident.